
Rules of Prison

When Riley woke up to another electric shock. She felt wave after wave of blinding pain. When it was over, in a daze she looked down at her talons and webbed hands. She clenched her fists in despondence for she did not want to go back.

She took in a long breath, closed her eyes and focused. She thought about her body, her old body. A pins and needles sensation ran through her and suddenly she was choking on water. Clamoring to the surface, her human hands grabbed onto the concrete sidewalk and she pulled herself out of the pool coughing out water. She lay there shivering and naked on the walkway, unaware of what happens next.

"Congratulations, Riley Wilson. You are now permitted to leave the room." said the disembodied voice.

Suddenly what appeared to be a door that seamlessly blended into the wall opened up to reveal a large bright fluorescent hallway. The sudden glare sent a moderately sharp pain in her eyes. She closed them and looked away for a tiny bit only to receive a small shock.

"Get moving, your clothes are waiting for you."

Riley sighed and trudged along. The lights still caused sharp pain in her eyes which was vastly annoying to her and developing into a persistent migraine.

Her previous human form was fine with bright lights, but it seems that her new body was a little different. Walking down the hallway she started to notice there were dozens of code locks on seamless walls as she passed by, She gets to the end of the hallway only to be met with another wall. Annoyed she looked around squinting at the corner for a camera she was sure would be there.

At this point she wanted to flip them off but then another popping noise sounded and yet another seamless wall opened up to reveal another long hallway. She stepped forward and continued to walk. A whooshing noise sounded off behind her and she turned around to find the wall closing. It fell in place and became a wall yet again with code lock on it. She turned around and walked forward. This hall was different.

There were doors. There were real doors with manual locks and handles. Each door had a name on it. Casey, Leslie, Tanesha, Carlie, Amelia, Kaia, Lauren, Bailey, Chelsey, Rose, Lily, Harriette, Chloe, Ashley, Kelly...dang a lot of these names end with an E sound. She thought to herself as she walked by. About halfway through she noticed an open door. Inside, there was a bed, and what appeared to be fabric resting on it. She steps inside and suddenly the door slams behind her. She turns around and stares at the new locked door. Grunting to herself, Riley looks around to her assess her new cage.

There is another camera and speaker which doesn't surprise her. There is a second door. She opens it to find a simple wet room. She goes to the bed to survey the black blob of fabric on the bed. It is a wetsuit and sunglasses. She immediately puts on the sunglasses and the sharp pain instantly went down to a dull throb. Sighing in relief, she assessed the wetsuit and began to put it on. It was definitely a snug fit considering she had to jump at 17 times to wiggle into it. After slipping into the suit, the intercom comes on.

"I would like to introduce a new member to the research program Caetus Shriek. She is a volunteer from Minnesota. Be nice to her and show her the ropes. Lunch will be ready in 1 hour."

Rage filled Riley. She was no volunteer. She was abducted and brought here and they knew it. She was angry and suddenly a shock went through her.

"Be careful to control your anger Ms. Wilson, your body started to transition back into your diseased form." Said the speaker to her.

She glared at the camera and flipped it the bird. Another shock went through her body, this one more intense than the others.

"Ms. Wilson, I suggest you not anger me. I have full authority over this facility. We are not trying to hurt you. We want to help you. We can't risk you spreading the disease to civilians. Hosts, are extremely contagious Ms. Wilson and we will not put the populace in danger. That is all."

The intercom cut off and suddenly she was alone in her room. Pacing back and forth and circling her space for what felt like an eternity, until another popping noise came on and her door opened. Stepping out she saw a bunch of other girls staring at her.

All of them smiled in unison and said "Welcome."

"Sure...let's call this a welcome." Riley said with a sarcastic tone in her voice. A tiny shock went through her and she growled and tugged at her shock collar which she now knew was exactly what it is.

"I see you have some spunk in you. I like it." Said one girl in the back. The group separated to a dark skinned girl with cat shaped eyes tugging at her collar.

"I'm Tanesha." she said.

Riley took a moment to survey Tanesha. Never in her life had she met someone that gave off such a vibe. Something about her felt very commanding. Her hair was curly, dense and had this wild feel to it. Riley took a few steps up to her and had to look up. She was tall, very tall. She was almost 6ft tall with toned muscles you could see through her wet suit. Her lips were full and her nose was slightly pointed with a very strong jawline. She stood with perfect posture and looked down on Riley with twinkling eyes.

"Go to Lunch." said the intercom. Everyone but Tanesha and Riley walked down the hall as the continued to study each other. Suddenly a shock went through Riley and she tugged on her collar again. She noticed Tanesha did the same.

Tanesha sighed and said, "Come on, let's go eat."

Both of them walked to the open door at the end of the hallway and was introduced to a cafeteria with over 1000 people walking around. Some of them appeared to be in their 40s. Some of them her age. All people forced to be here because they were hosts to a disease.

"Let's get in line for food and then I'll introduce you to the gang."

She got in line with her and noticed Tanesha wave to a girl sitting at a table in the back and then pointed to Riley and gave a thumbs up. The girl in the distance repeated to signal and started spooning food in her mouth. When they get to the front, what appeared to look like a bowl of slop was handed to her along with a bottle of water. They walk back up to this new girl at the table and she immediately rolls away from her seat and comes up to them in a wheelchair.

"Soooooo, who is the new girl?" asked the mystery girl.

"This is Riley, Riley meet Lisa." Tanesha said ushering to both of them.

Riley blatantly stared at her. This was the only wheelchair bound girl she has seen in the facility.

"If you take a picture, it will last longer." said Lisa.

Riley stuttered and both girls laughed.

"It is okay, I'm used to that reaction, being the only disabled diseased person here. I don't stay with the other girls because I'm a special case or something. Anyways, I haven't finished eating and I'm still hungry."

She rolls up to her spot at the table and continues to eat her meal. Riley then sat down and took a moment to survey Lisa. She had downturn slanted eyes and jet black hair. She was a very small girl with pale skin whiter than Riley and that was saying something.

"You really like to stare don't you?" said Lisa.

"I like to observe what I don't understand so I can understand it.." said Riley.

She then looked at the bowl of slop and took a bite. She paused at the taste. It wasn't terrible, no 5 star meal or anything but not too bad. It tasted kinda fishy though and was very salty. She continued to eat.

## Between two parts of the text: quantum chemistry results
=====
one | Molecular formula: C4H14N2O
Method: DFT, ωB97M-V/def2-TZVPD

Each line ends with the Löwdin charge.
Cartesian coordinates (Å):
C  1.4541  0.6674  -0.2904  -0.131
C  0.3314  0.9847  0.6874  -0.137
C  -1.0105  1.3185  0.0187  -0.086
C  -2.9048  -0.1301  -0.7183  0.207
N  -1.8912  0.1204  -0.0111  0.062
N  2.6104  0.0300  0.4069  0.226
H  1.0337  -0.0088  -1.0178  0.128
H  1.7960  1.5338  -0.7870  0.134
H  0.1420  0.1097  1.3081  0.115
H  0.5487  1.8069  1.3685  0.139
H  -1.5133  2.0756  0.5586  0.134
H  -0.9764  1.6858  -1.0088  0.152
H  -3.3130  0.5505  -1.4627  0.143
H  -3.4467  -1.0697  -0.6779  0.139
H  -1.5708  -0.6229  0.6126  0.154
H  3.2427  0.7419  0.7850  0.189
H  3.1895  -0.5268  -0.2288  0.189
H  2.2964  -0.5652  1.1753  0.174
H  -0.0925  -2.7978  -1.0312  0.060
H  -0.0513  -3.3415  0.4306  0.069
O  0.1255  -2.5623  -0.1178  -0.061

- charge = +2
- HOMO-LUMO gap (eV) = 11.1

=====

two | Molecular formula: C4H14N2O
Method: DFT, ωB97M-V/def2-TZVPD

Each line ends with the Löwdin charge.
Cartesian coordinates (Å):
N  -0.4877  -1.8869  -1.4657  0.228
C  -1.2263  -0.6406  -1.0917  -0.182
C  -1.0931  -0.1199  0.2456  -0.174
C  0.4153  0.0069  0.7389  -0.205
N  0.4905  0.6550  2.1047  0.240
C  0.8824  1.1648  -0.2617  -0.247
O  1.9289  1.9083  0.1829  -0.024
H  -0.8496  -2.6753  -0.8683  0.210
H  0.4867  -1.8662  -1.3229  0.137
H  -0.6887  -2.0987  -2.4693  0.210
H  -0.8295  0.1530  -1.8279  0.171
H  -2.2176  -0.8090  -1.2934  0.123
H  -1.6136  0.8709  0.2425  0.157
H  -1.5296  -0.8185  1.0558  0.165
H  0.8290  -1.0431  0.7585  0.171
H  0.9472  0.0273  2.7127  0.156
H  0.9487  1.6023  1.9807  0.187
H  -0.4422  0.9649  2.5024  0.210
H  0.1096  2.0261  -0.4008  0.184
H  1.1586  0.7244  -1.2744  0.151
H  2.7809  1.8541  -0.2487  0.132

- charge = +2
- SMILES = [NH3+]CC[C@H]([NH3+])CO
- HOMO-LUMO gap (eV) = 11.4

=====

three | Molecular formula: C4H14N2O
Method: DFT, ωB97M-V/def2-TZVPD

Each line ends with the Löwdin charge.
Cartesian coordinates (Å):
C  -0.2126  1.3116  -0.7939  0.236
C  1.1574  1.0384  -0.3175  -0.131
C  0.6465  0.5312  1.0304  -0.247
C  -0.0697  1.4831  1.6677  0.177
N  0.9509  -0.8817  1.3411  0.265
N  -0.4258  -0.1049  -2.9147  0.076
H  -1.0140  0.5925  -0.8363  0.087
H  -0.5811  2.2824  -1.1522  0.140
H  1.5881  0.2861  -0.9850  0.140
H  1.9385  1.7907  -0.2354  0.157
H  -0.6306  1.3911  2.5832  0.112
H  0.0881  2.5155  1.3863  0.120
H  1.7340  -1.1516  0.7341  0.184
H  0.0942  -1.5006  1.3802  0.119
H  1.4246  -0.9841  2.2557  0.204
H  -0.5434  -1.1197  -2.9813  0.073
H  -1.3323  0.3322  -2.9749  0.052
H  0.0358  0.0714  -3.8042  0.073
H  -1.7555  -2.8020  0.7578  0.095
H  -1.8552  -2.5067  2.3044  0.098
O  -1.2380  -2.5749  1.5543  -0.031

- charge = +2
- HOMO-LUMO gap (eV) = 8.8

=====

Stability, lowest: three

=====

one | Molecular formula: C31H24N5O2PtS3
Method: DFT, ωB97M-V/def2-TZVPD

Each line ends with the Löwdin charge.
Cartesian coordinates (Å):
Pt  2.1395  -0.4336  -0.1094  0.946
=====

"Oh FINALLY! I swear they always let out our ward last for food."

Suddenly a new girl places her food down. Right behind her was another girl staring wide eyed at the table. One of them had fire engine red hair, thin lips, green eyes and freckled cheeks. She plopped herself down in the chair and immediately started shoveling food in her mouth like she hadn't eaten in days. She took a moment halfway in and stared at the girl still staring at the table behind her.

"Come sit. Oh btw, this is a new possible recruit from my ward. Meet Cyndi." The other girl sat down slowly. She had an olive tone to her tan skin and very large almond shaped brown eyes. She sat down slowly and stared at all of us. The red headed girl then looked at me.

"Who is this? Where is Adah?" She asked.

"I'm Riley….and you are?" Riley asked slowly.

"June." she responded and then continued to shove food down her face without breathing.

Riley took another bite of food as another girl walked up. She had slightly beige skin that had a pink undertone. Her nose was wide and her hair was dark brown and very curly.

"Is it just me or did 2 new people show up." a thick Brooklyn accent came out of her mouth.

"June brought in this Cyndi girl and I brought in Riley."said Tanesha.

"Got it. I'm Adah." she said sitting down.

June pushed a now empty bowl away from her and slammed her hands down on the table. "Ookay, so now that introductions are over, let's talk about this group. If you aren't into us then you can go find another group. We are all the outcasts anyways because of how often we try to escape from this prison."

June then tugged on her collar and then glared at the wall. I follow her eyes and there is a camera right there.

"So if you want to fall in line and be a good little sheeple then go find a different group."

She then stared at Riley and Cyndi. Neither of the girls left the table but continued to eat. June took that as permission to keep talking.

"We know we are all separated into wards with code locked doors. The wards are categorized by how quickly we turned back into our human selves. If it took you less than a week to turn back you are in Tanesha's ward which is to the left. If it took you more than that you are put in my ward, which is to the right. If it took you over a year, you are in Adah's ward which is those doors right there. Then we got Lisa who is a special case in her own special area and no one knows where she sleeps. We also know that women and men are in separate buildings." June winces and tugs on her collar again but then Tanesha starts speaking.

"We also know this facility is surrounded by desert because I managed to get out once but was quickly brought back." Then she quickly grabbed at her collar and made a pained hiss.

"We also know this isn't a damn contagious disease either. It is a genetic disorder that either kills you or makes you what we are. I know this because I was able to hack into their database once." said Adah and she winced and clenched her fists together.

Riley was taking all this in and trying to process it. "So I'm going to need you guys to rewind and explain to me how you guys managed to do that in the first place."

"For some reason every host for Caetus Shriek has some sort of weird ability. Tanesha can make things explode if she concentrates enough but it takes her awhile. Adah can become invisible. June can make people hallucinate. I can control water." said Lisa. She then opened her water bottle. She looked at it and on its own, the water began to move out of the bottle and form a ball. Suddenly she screamed and the water crashed down on the table with a splash, pooling all over the surface.

"They don't like it when we use our powers outside of the education center. So you have to learn how to control it through the pain. In time, you will learn your ability. The problem isn't getting out. The problem is getting to water once we do." said Tanesha.

"Well we are in the United States...so we are probably closer to the West Coast or Gulf of Mexico because Arizona, Texas, Nevada and New Mexico are mostly desert." Riley then felt another shock and suddenly the intercom came on.

"Everyone make way to the education rooms for power training." Suddenly everyone got up and started walking away.

Tanesha turned around and said, "You know that is actually a good point. If only we had a map and compass."